Input
........
1.
DFT (ωB97M-V/def2-TZVPD) results for a single C5H9N3 molecule at a distorted geometry.

As for the LUMO energy: 0.7 eV. The total charge is 0. The value obtained for the HOMO-LUMO gap is 9.0 eV. The calculation puts the largest force on an atom at 4.26 eV Å⁻¹. Its total energy is -360.1409 Ha. Its relative energy (zero: lowest compared OMol25 entry of this formula, charge and spin) is 1.5343 eV.

CARTESIAN COORDINATES (ANGSTROEM)
C (1.691, 0.948, 0.784)
C (-1.032, -1.318, -0.838)
N (0.023, 1.522, -0.878)
C (0.460, 0.535, 0.002)
C (-0.059, -0.711, 0.152)
N (0.266, -1.549, 1.211)
C (-1.412, 1.805, -0.853)
N (-2.551, 2.001, -0.862)
H (0.326, 1.310, -1.824)
H (0.528, -1.031, 2.049)
H (-0.484, -2.205, 1.429)
H (2.353, 1.553, 0.152)
H (1.419, 1.535, 1.665)
H (2.290, 0.086, 1.100)
H (-2.034, -1.399, -0.405)
H (-1.093, -0.758, -1.775)
H (-0.691, -2.325, -1.109)

2.
DFT (ωB97M-V/def2-TZVPD) results for 2 unconnected molecules or ions with the total composition C2H6N4O2 at a distorted geometry.

As for the LUMO energy: -0.9 eV. The total charge is 0. The value obtained for the HOMO-LUMO gap is 7.7 eV. The calculation puts the largest force on an atom at 6.09 eV Å⁻¹. Its total energy is -449.0312 Ha. Its relative energy (zero: lowest compared OMol25 entry of this formula, charge and spin) is 7.8906 eV.

CARTESIAN COORDINATES (ANGSTROEM)
C (-0.339, -0.111, 0.340)
C (-0.601, -0.948, 1.671)
H (1.796, 0.757, -0.058)
H (2.832, -0.563, -2.188)
H (0.916, -1.735, -0.334)
H (-1.175, 2.395, -1.213)
H (-0.488, 0.941, -1.999)
H (-2.140, 0.325, 2.061)
N (1.988, -0.341, -0.566)
N (0.573, -0.773, -0.617)
N (-0.881, 0.924, -0.117)
N (-0.542, 1.677, -1.197)
O (-1.667, -0.435, 2.392)
O (-0.272, -2.112, 1.825)

3.
DFT (ωB97M-V/def2-TZVPD) results for a molecular structure, C3H9NO3S at a distorted geometry.

As for the LUMO energy: 0.6 eV. The total charge is 0. The value obtained for the HOMO-LUMO gap is 10.0 eV. The calculation puts the largest force on an atom at 6.50 eV Å⁻¹. Its total energy is -798.2907 Ha. Its relative energy (zero: lowest compared OMol25 entry of this formula, charge and spin) is 3.0330 eV.

CARTESIAN COORDINATES (ANGSTROEM)
C (1.636, -0.129, -1.335)
C (-0.310, 1.152, 1.844)
C (0.627, -0.105, -0.151)
N (0.501, 1.042, 0.593)
O (-1.731, -1.393, 0.444)
O (-1.779, 0.564, -1.026)
O (-0.972, -1.589, -1.925)
S (-1.010, -0.664, -0.851)
H (2.202, 0.718, -1.234)
H (1.186, -0.248, -2.383)
H (2.257, -1.031, -1.213)
H (-0.648, 2.098, 2.081)
H (-1.365, 0.575, 1.811)
H (0.364, 0.718, 2.619)
H (0.891, -1.077, 0.732)
H (0.257, 1.670, -0.161)
H (-2.107, -2.300, 0.154)

4.
DFT (ωB97M-V/def2-TZVPD) results for a molecular structure, C5H9F10FeN5O20S6 at a distorted geometry.

As for the LUMO energy (spin up / spin down): 2.9 / 1.2 eV. The total charge is -2. The value obtained for the HOMO-LUMO gap (spin up / spin down) is 4.7 / 6.1 eV. The expectation value of S² is 12.018. Its spin multiplicity is 7. The calculation puts the largest force on an atom at 8.94 eV Å⁻¹. Its total energy is -6625.5638 Ha.

CARTESIAN COORDINATES (ANGSTROEM)
Fe (26.131, -0.281, -29.437)
C (25.816, 2.888, -32.776)
F (24.477, 3.028, -32.874)
F (26.460, 3.441, -33.790)
F (26.304, 3.369, -31.576)
S (26.126, 0.952, -32.693)
O (24.898, 0.400, -33.326)
O (27.394, 0.706, -33.429)
O (26.182, 0.554, -31.253)
C (21.546, 0.393, -29.974)
F (20.375, -0.136, -30.203)
F (21.633, 1.568, -30.763)
F (21.649, 0.721, -28.689)
S (22.901, -0.848, -30.499)
O (22.992, -0.765, -31.951)
O (24.155, -0.410, -29.919)
O (22.590, -2.182, -30.021)
N (28.004, -0.448, -29.415)
S (29.308, 0.493, -29.490)
O (30.227, 0.292, -30.607)
O (29.864, 0.919, -28.201)
F (28.588, 1.861, -29.869)
S (29.207, -1.734, -29.060)
O (29.702, -1.761, -27.700)
O (29.968, -2.372, -30.060)
F (27.962, -2.808, -29.013)
N (25.769, 1.206, -28.318)
S (26.250, 1.553, -26.717)
O (25.421, 1.052, -25.617)
O (27.253, 2.547, -26.510)
F (27.305, 0.384, -26.698)
S (24.976, 2.563, -28.355)
O (25.642, 3.820, -28.555)
O (23.656, 2.437, -27.736)
........

Request
Type out the whole of the material further above without altering anything, please.

Worked solution
1.
DFT (ωB97M-V/def2-TZVPD) results for a single C5H9N3 molecule at a distorted geometry.

As for the LUMO energy: 0.7 eV. The total charge is 0. The value obtained for the HOMO-LUMO gap is 9.0 eV. The calculation puts the largest force on an atom at 4.26 eV Å⁻¹. Its total energy is -360.1409 Ha. Its relative energy (zero: lowest compared OMol25 entry of this formula, charge and spin) is 1.5343 eV.

CARTESIAN COORDINATES (ANGSTROEM)
C (1.691, 0.948, 0.784)
C (-1.032, -1.318, -0.838)
N (0.023, 1.522, -0.878)
C (0.460, 0.535, 0.002)
C (-0.059, -0.711, 0.152)
N (0.266, -1.549, 1.211)
C (-1.412, 1.805, -0.853)
N (-2.551, 2.001, -0.862)
H (0.326, 1.310, -1.824)
H (0.528, -1.031, 2.049)
H (-0.484, -2.205, 1.429)
H (2.353, 1.553, 0.152)
H (1.419, 1.535, 1.665)
H (2.290, 0.086, 1.100)
H (-2.034, -1.399, -0.405)
H (-1.093, -0.758, -1.775)
H (-0.691, -2.325, -1.109)

2.
DFT (ωB97M-V/def2-TZVPD) results for 2 unconnected molecules or ions with the total composition C2H6N4O2 at a distorted geometry.

As for the LUMO energy: -0.9 eV. The total charge is 0. The value obtained for the HOMO-LUMO gap is 7.7 eV. The calculation puts the largest force on an atom at 6.09 eV Å⁻¹. Its total energy is -449.0312 Ha. Its relative energy (zero: lowest compared OMol25 entry of this formula, charge and spin) is 7.8906 eV.

CARTESIAN COORDINATES (ANGSTROEM)
C (-0.339, -0.111, 0.340)
C (-0.601, -0.948, 1.671)
H (1.796, 0.757, -0.058)
H (2.832, -0.563, -2.188)
H (0.916, -1.735, -0.334)
H (-1.175, 2.395, -1.213)
H (-0.488, 0.941, -1.999)
H (-2.140, 0.325, 2.061)
N (1.988, -0.341, -0.566)
N (0.573, -0.773, -0.617)
N (-0.881, 0.924, -0.117)
N (-0.542, 1.677, -1.197)
O (-1.667, -0.435, 2.392)
O (-0.272, -2.112, 1.825)

3.
DFT (ωB97M-V/def2-TZVPD) results for a molecular structure, C3H9NO3S at a distorted geometry.

As for the LUMO energy: 0.6 eV. The total charge is 0. The value obtained for the HOMO-LUMO gap is 10.0 eV. The calculation puts the largest force on an atom at 6.50 eV Å⁻¹. Its total energy is -798.2907 Ha. Its relative energy (zero: lowest compared OMol25 entry of this formula, charge and spin) is 3.0330 eV.

CARTESIAN COORDINATES (ANGSTROEM)
C (1.636, -0.129, -1.335)
C (-0.310, 1.152, 1.844)
C (0.627, -0.105, -0.151)
N (0.501, 1.042, 0.593)
O (-1.731, -1.393, 0.444)
O (-1.779, 0.564, -1.026)
O (-0.972, -1.589, -1.925)
S (-1.010, -0.664, -0.851)
H (2.202, 0.718, -1.234)
H (1.186, -0.248, -2.383)
H (2.257, -1.031, -1.213)
H (-0.648, 2.098, 2.081)
H (-1.365, 0.575, 1.811)
H (0.364, 0.718, 2.619)
H (0.891, -1.077, 0.732)
H (0.257, 1.670, -0.161)
H (-2.107, -2.300, 0.154)

4.
DFT (ωB97M-V/def2-TZVPD) results for a molecular structure, C5H9F10FeN5O20S6 at a distorted geometry.

As for the LUMO energy (spin up / spin down): 2.9 / 1.2 eV. The total charge is -2. The value obtained for the HOMO-LUMO gap (spin up / spin down) is 4.7 / 6.1 eV. The expectation value of S² is 12.018. Its spin multiplicity is 7. The calculation puts the largest force on an atom at 8.94 eV Å⁻¹. Its total energy is -6625.5638 Ha.

CARTESIAN COORDINATES (ANGSTROEM)
Fe (26.131, -0.281, -29.437)
C (25.816, 2.888, -32.776)
F (24.477, 3.028, -32.874)
F (26.460, 3.441, -33.790)
F (26.304, 3.369, -31.576)
S (26.126, 0.952, -32.693)
O (24.898, 0.400, -33.326)
O (27.394, 0.706, -33.429)
O (26.182, 0.554, -31.253)
C (21.546, 0.393, -29.974)
F (20.375, -0.136, -30.203)
F (21.633, 1.568, -30.763)
F (21.649, 0.721, -28.689)
S (22.901, -0.848, -30.499)
O (22.992, -0.765, -31.951)
O (24.155, -0.410, -29.919)
O (22.590, -2.182, -30.021)
N (28.004, -0.448, -29.415)
S (29.308, 0.493, -29.490)
O (30.227, 0.292, -30.607)
O (29.864, 0.919, -28.201)
F (28.588, 1.861, -29.869)
S (29.207, -1.734, -29.060)
O (29.702, -1.761, -27.700)
O (29.968, -2.372, -30.060)
F (27.962, -2.808, -29.013)
N (25.769, 1.206, -28.318)
S (26.250, 1.553, -26.717)
O (25.421, 1.052, -25.617)
O (27.253, 2.547, -26.510)
F (27.305, 0.384, -26.698)
S (24.976, 2.563, -28.355)
O (25.642, 3.820, -28.555)
O (23.656, 2.437, -27.736)